Internships & Scholarships

Click the scholarship or internship below to learn more.

The Mark E. Davis Scholarship was established by The Rev. William and Irene Davis, following the death of their son, Mark. The scholarship is a one-year scholarship to a four-year college or university awarded to a member(s) of Reformation Lutheran Church. Applicants can be high school seniors or currently attending a college or university. The scholarship is awarded to an applicant(s) who demonstrate a high level of academic, religious, and community-oriented commitment and achievement. The scholarship is awarded annually in July.
Applications for the 2025-2026 academic year may be obtained from the counter in the church narthex or by clicking here.  All applications and support materials must be received or postmarked by May 1, 2024 deadline. Applicants should be aware that requesting transcripts and letters of recommendation can take extra time and should plan accordingly in order to meet the deadline.

The Reinhard Scholarship was established in 2001 at Reformation Lutheran Church, Media, PA in loving memory of Chester N. and C. Marie Reinhard by their daughter, Helen Beck.

The purpose of this scholarship is to provide financial support to a student(s) preparing for public ministry in the Evangelical Lutheran Church in America (ELCA). The award will be presented annually during a worship service at Reformation which the award recipient takes part in the service.

Candidates for Ministry of Word and Sacrament and Ministry of Word and Service are eligible to apply for this scholarship. Preference is given to applicants who are members of Reformation, Media, PA. If no qualified member of Reformation applies, preference is given to candidates from the Southeastern Pennsylvania Synod enrolled in an ELCA seminary.

In 2025, scholarship(s) will be awarded on March 30 at Reformation, Media. A full scholarship is $1000.

Click here to download the 2025-2026 Application – Due by January 1, 2025.



Supervision: Pastor Eileen Ruppel-Doan and designated ministry leaders

• Be a current college student enrolled in a college or university
• Complete all required criminal background checks and clearances as per Pennsylvania state law
• Have access to transportation
• Have the ability to work on some projects remotely
• Have an interest in working in this congregation and a willingness to support its mission
• Have a strong faith commitment and an ability to share faith with others
• Have strong interpersonal skills and the ability to work in a team setting
• Not a member of Reformation Lutheran Church, Media
• Preference will be given to students engaged in religious life, social ministries, education, justice,
advocacy, or other related fields

• Learn about the administrative work of a congregation
• Participate and lead in programs of the congregation – in education, service, and worship
• Work with individuals of different ages and abilities
• Have individual supervision and discernment with congregational leadership
• Work in an area of special interest to the intern

• Help to grow summer education, service, and other programs of the congregation (such as Vacation
Bible School, Youth Summer Service Days, Art in the Heart of Worship)
• Work to further the congregation’s engagement in the local community through connecting to local
• Attend staff, council, and ministry team meetings as needed
• Assist with administrative tasks
• Assist called staff of the congregation with pastoral and programmatic responsibilities
• Provide support for the congregation through technology

Length of Internship and Hours:
• 10 weeks during the summer months
• The internship will begin by the end of May (actual start date to be determined by the intern’s
availability at the conclusion of the semester)
• 20-25 hours per week, sometimes including Sunday worship

Time Off:
• The intern must complete 10 weeks at Reformation, if a week off is needed during the summer, the
intern is responsible for making the request for time off and will need to extend their time by the amount
of time off taken.
• Interns may take up to one unpaid week off during the summer
• Pastor Eileen should be notified of time off at the time the internship position is offered

• $250 per week/$2500 per summer (no additional reimbursement for travel or housing)


Applications for Summer 2024 are due by April 1, 2024.



The Choral Scholars ministry offers a $2750 (yearly) scholarship position to three local students for the 20232024 academic year. Students can be in their junior or senior year of high school or any year in college. The positions allow students the experience of singing with an accomplished traditional church choir and director. Scholars will act as section leaders within the choir. The church benefits from their musical skills and expertise and the program helps them to better develop their choral background. The position offers students the venue to s i n g as soloists and as a group in addition to the opportunity to teach and conduct the choir. Additional opportunities for instrumental music are also available such as playing with the handbell choir or providing other instrumental leadership at worship if that is a talent of the scholar.

____________
1.
{
  "formula": "C2H6N2O",
  "method": "ωB97M-V/def2-TZVPD",
  "elements": ["N", "C", "C", "N", "O", "H", "H", "H", "H", "H", "H"],
  "xyz": [[1.4535, 0.0937, 1.1652], [0.2307, -0.5891, 0.4311], [-0.0456, -0.0878, -1.0221], [-1.2766, 0.4779, -1.0908], [0.7823, -0.1941, -1.9642], [1.4384, -0.1192, 2.1499], [1.2730, 1.1057, 1.0747], [-0.7138, -0.3471, 1.0352], [0.3167, -1.6523, 0.5025], [-1.9609, 0.2546, -0.4252], [-1.4977, 1.0576, -1.8562]],
  "forces_ev_per_angstrom": [[-1.84, -0.06, -2.38], [-0.19, 1.81, 2.10], [2.85, -0.91, -0.84], [1.21, 0.01, -0.63], [-2.54, 0.69, 2.62], [-0.31, -0.23, 0.16], [0.30, -0.66, 0.19], [1.13, -0.31, -0.73], [0.51, -0.65, -0.32], [-0.72, 0.04, 0.82], [-0.41, 0.25, -0.99]],
  "lumo_energy_ev": 0.77,
  "smiles": "NCC(N)=O"
}

2.
{
  "formula": "C34H28CrNO3",
  "method": "ωB97M-V/def2-TZVPD",
  "elements": ["O", "C", "Cr", "C", "O", "C", "O", "C", "C", "C", "C", "C", "C", "C", "C", "C", "C", "C", "C", "C", "C", "C", "C", "C", "C", "C", "C", "C", "H", "H", "H", "H", "H", "H", "H", "H", "H", "H", "H", "H", "H", "H", "H", "C", "C", "C", "C", "C", "C", "C", "C", "N", "C", "C", "H", "H", "H", "H", "H", "H", "H", "H", "H", "H", "H", "H", "H"],
____________
**So much for the records of molecules:**


Choral Scholars must have musical talent, the ability to perform and lead within a choral group, and be enrolled in a college or university. Students do not need to be Lutheran to apply. Participation requires full participation in the Chancel Choir, which includes a weekly rehearsal on Thursday evenings from 7:309:00 pm (Wednesdays during Lent) and Sunday morning warmup (8:00 am) and worship (8:309:30 am). The schedule for the 20232024 year begins on Thursday, August 31, 2023, and will follow the academic calendar of the student’s school with regard to breaks and time off. During the spring semester, there will be additional sung services including Ash Wednesday, Maundy Thursday and two services on Easter Sunday. During this schedule, absences from 4 rehearsals and 4 services will be permitted. If more absences are required and a substitute cannot be found, a deduction from the scholarship amount will be discussed.


Applications should be emailed here.  A resume’ may be attached if available.  In person auditions and interviews will be held.

Form of Compensation

Choral Scholars are awarded a $2750 grant at a rate of $50 per call for their service to Reformation Lutheran Church. This will be paid in regular installments over the course of the year.


Valerie Rozek, Director of Music


Through this internship, you will:

Gain an understanding of how live-streaming works on a larger scale, using equipmentfrom Blackmagicdesign, ElGato, and Kramer.
Learn fundamentals of video switching and cueing, remote camera control, overlaying graphics and HDMI matrix devices.
Create graphics content using ProPresenter
Develop skills in managing/directing multiple factors of the livestream

Provide support for the congregation through technology
Complete responsibilities scheduled weekly
Has punctual timing to arrive
Maintain the integrity of the Live stream both in production quality and content quality.

Length of Internship and Hours:
12 weeks of a semester (including 12 Sundays – 8:00 am – 12:30 pm)
About 1 – 2 hour of remote work (ProPresenter, analytics, etc)

$1250 per semester (no additional reimbursement for travel)

To apply:
Send cover letter and resume to

Learn more here.